Wanted:
It remains to transcribe the whole of the contents further below word for word.

File:
The following is a PBE calculation of a relaxed BaCaNdSbO6 crystal, from Materials Project.

Values from the calculation:
- E_form: -66.9 kcal/mol of atoms
- Raw total energy: -6.7391 eV/atom
- Distance to the lowest polymorph of the same formula: 82 meV per atom

abc: 6.0730 6.0730 6.0730
angles: 60.00 60.00 60.00
Last column: nearest neighbours and their distance in Å.
Atoms (fractional coordinates):
1 Ba 0.0000 0.0000 0.0000  12 O 3.04
2 Ca 0.5000 0.5000 0.5000  12 O 3.04
3 Nd 0.7500 0.7500 0.7500  6 O 2.30
4 Sb 0.2500 0.2500 0.2500  6 O 2.00
5 O 0.0173 0.0173 0.4827  1 Sb 2.00
6 O 0.0173 0.4827 0.0173  1 Sb 2.00
7 O 0.0173 0.4827 0.4827  1 Sb 2.00
8 O 0.4827 0.0173 0.0173  1 Sb 2.00
9 O 0.4827 0.0173 0.4827  1 Sb 2.00
10 O 0.4827 0.4827 0.0173  1 Sb 2.00

=====

24
Lattice="-2.537 -4.395 0.000 -7.613 4.396 0.000 -0.001 0.000 -7.988" Properties=species:S:1:pos:R:3 comment="KCrS2O8 (PBE with a Hubbard U, relaxed)" formation_enthalpy_0k_ev_per_fu=-25.1 e_above_lowest_polymorph_kj_per_mol_atoms=3.5 pbc="T T T"
O -3.758 -3.428 -1.260
O -8.704 -0.572 -6.733
O -5.303 -1.540 -1.256
O -8.703 0.570 -1.266
O -7.616 -1.458 -4.779
O -5.074 -2.928 -3.208
O -2.537 -1.463 -4.780
O -2.768 -2.856 -6.727
O -1.222 -0.970 -6.733
O -5.306 1.540 -6.721
O -7.844 2.853 -1.259
O -7.606 1.465 -3.209
O -3.628 0.573 -1.261
O -6.297 -0.969 -6.731
O -6.296 0.969 -1.256
O -3.629 -0.573 -6.729
Cr -7.612 4.394 -0.002
Cr -5.075 0.002 -7.985
S -2.539 -1.465 -6.238
S -5.075 -2.929 -1.751
S -7.612 1.465 -1.752
S -7.615 -1.463 -6.236
K -7.613 4.395 -3.995
K -5.076 0.000 -3.994

=====

# NiP2H24C4O14

A geometry-optimized NiP2H24C4O14 structure (GGA+U, Materials Project).

a b c (Å): 12.651 7.187 9.863
angles (deg): 90.00 110.69 90.00
Space group P2_1/c (No. 14)
One atom of each set of equivalent atoms:
Ni1 0.000 0.000 0.000 [2 per cell]
P1 0.256 0.019 0.531 [4 per cell]
H1 0.028 0.724 0.729 [4 per cell]
H2 0.091 0.173 0.627 [4 per cell]
H3 0.106 0.697 0.143 [4 per cell]
H4 0.123 0.171 0.247 [4 per cell]
H5 0.187 0.119 0.945 [4 per cell]
H6 0.195 0.608 0.461 [4 per cell]
H7 0.309 0.607 0.782 [4 per cell]
H8 0.351 0.665 0.352 [4 per cell]
H9 0.354 0.242 0.287 [4 per cell]
H10 0.401 0.160 0.145 [4 per cell]
H11 0.433 0.638 0.942 [4 per cell]
H12 0.497 0.218 0.797 [4 per cell]
C1 0.348 0.689 0.881 [4 per cell]
C2 0.409 0.228 0.724 [4 per cell]
O1 0.059 0.215 0.160 [4 per cell]
O2 0.069 0.689 0.665 [4 per cell]
O3 0.150 0.003 0.962 [4 per cell]
O4 0.168 0.511 0.099 [4 per cell]
O5 0.233 0.168 0.415 [4 per cell]
O6 0.278 0.681 0.970 [4 per cell]
O7 0.380 0.051 0.651 [4 per cell]

Calculated values
V	838.9	Å³ per cell
calculated total energy	-5.4078	eV/atom
ΔE_f	-1.140	eV per atom

=====

## HfN (GGA-PBE)

Data for a relaxed structure of HfN.

abc: 3.472 3.472 3.472
angles: 60.00 60.00 60.00
Positions (direct):
Hf (0.000, 0.000, 0.000)
N (0.250, 0.250, 0.250)

size of the total moment	0.003	μB per formula unit
space group	F-43m
calculated formation energy	-159.76	kJ/mol of atoms

***

## Hf3N2 (GGA-PBE)

Data for a relaxed structure of Hf3N2.

abc: 8.175 8.175 8.175
angles: 22.49 22.49 22.49
Positions (direct):
Hf (0.001, 0.001, 0.001)
Hf (0.223, 0.223, 0.223)
Hf (0.777, 0.777, 0.777)
N (0.612, 0.612, 0.612)
N (0.497, 0.497, 0.497)

size of the total moment	0.022	μB per formula unit
space group	R3m
calculated formation energy	-146.67	kJ/mol of atoms

***

## HfN (GGA-PBE)

Data for a relaxed structure of HfN.

abc: 3.156 3.156 5.429
angles: 90.00 90.00 120.00
Positions (direct):
Hf (0.333, 0.667, 0.250)
Hf (0.667, 0.333, 0.750)
N (0.000, 0.000, 0.500)
N (0.000, 0.000, 0.000)

space group	P6_3/mmc
calculated formation energy	-182.98	kJ/mol of atoms

***

## HfN (GGA-PBE)

Data for a relaxed structure of HfN.

abc: 2.816 2.816 2.816
angles: 90.00 90.00 90.00
Positions (direct):
Hf (0.000, 0.000, 0.000)
N (0.500, 0.500, 0.500)

size of the total moment	0.001	μB per formula unit
space group	Pm-3m
calculated formation energy	-90.42	kJ/mol of atoms

***

Worked solution:
The following is a PBE calculation of a relaxed BaCaNdSbO6 crystal, from Materials Project.

Values from the calculation:
- E_form: -66.9 kcal/mol of atoms
- Raw total energy: -6.7391 eV/atom
- Distance to the lowest polymorph of the same formula: 82 meV per atom

abc: 6.0730 6.0730 6.0730
angles: 60.00 60.00 60.00
Last column: nearest neighbours and their distance in Å.
Atoms (fractional coordinates):
1 Ba 0.0000 0.0000 0.0000  12 O 3.04
2 Ca 0.5000 0.5000 0.5000  12 O 3.04
3 Nd 0.7500 0.7500 0.7500  6 O 2.30
4 Sb 0.2500 0.2500 0.2500  6 O 2.00
5 O 0.0173 0.0173 0.4827  1 Sb 2.00
6 O 0.0173 0.4827 0.0173  1 Sb 2.00
7 O 0.0173 0.4827 0.4827  1 Sb 2.00
8 O 0.4827 0.0173 0.0173  1 Sb 2.00
9 O 0.4827 0.0173 0.4827  1 Sb 2.00
10 O 0.4827 0.4827 0.0173  1 Sb 2.00

=====

24
Lattice="-2.537 -4.395 0.000 -7.613 4.396 0.000 -0.001 0.000 -7.988" Properties=species:S:1:pos:R:3 comment="KCrS2O8 (PBE with a Hubbard U, relaxed)" formation_enthalpy_0k_ev_per_fu=-25.1 e_above_lowest_polymorph_kj_per_mol_atoms=3.5 pbc="T T T"
O -3.758 -3.428 -1.260
O -8.704 -0.572 -6.733
O -5.303 -1.540 -1.256
O -8.703 0.570 -1.266
O -7.616 -1.458 -4.779
O -5.074 -2.928 -3.208
O -2.537 -1.463 -4.780
O -2.768 -2.856 -6.727
O -1.222 -0.970 -6.733
O -5.306 1.540 -6.721
O -7.844 2.853 -1.259
O -7.606 1.465 -3.209
O -3.628 0.573 -1.261
O -6.297 -0.969 -6.731
O -6.296 0.969 -1.256
O -3.629 -0.573 -6.729
Cr -7.612 4.394 -0.002
Cr -5.075 0.002 -7.985
S -2.539 -1.465 -6.238
S -5.075 -2.929 -1.751
S -7.612 1.465 -1.752
S -7.615 -1.463 -6.236
K -7.613 4.395 -3.995
K -5.076 0.000 -3.994

=====

# NiP2H24C4O14

A geometry-optimized NiP2H24C4O14 structure (GGA+U, Materials Project).

a b c (Å): 12.651 7.187 9.863
angles (deg): 90.00 110.69 90.00
Space group P2_1/c (No. 14)
One atom of each set of equivalent atoms:
Ni1 0.000 0.000 0.000 [2 per cell]
P1 0.256 0.019 0.531 [4 per cell]
H1 0.028 0.724 0.729 [4 per cell]
H2 0.091 0.173 0.627 [4 per cell]
H3 0.106 0.697 0.143 [4 per cell]
H4 0.123 0.171 0.247 [4 per cell]
H5 0.187 0.119 0.945 [4 per cell]
H6 0.195 0.608 0.461 [4 per cell]
H7 0.309 0.607 0.782 [4 per cell]
H8 0.351 0.665 0.352 [4 per cell]
H9 0.354 0.242 0.287 [4 per cell]
H10 0.401 0.160 0.145 [4 per cell]
H11 0.433 0.638 0.942 [4 per cell]
H12 0.497 0.218 0.797 [4 per cell]
C1 0.348 0.689 0.881 [4 per cell]
C2 0.409 0.228 0.724 [4 per cell]
O1 0.059 0.215 0.160 [4 per cell]
O2 0.069 0.689 0.665 [4 per cell]
O3 0.150 0.003 0.962 [4 per cell]
O4 0.168 0.511 0.099 [4 per cell]
O5 0.233 0.168 0.415 [4 per cell]
O6 0.278 0.681 0.970 [4 per cell]
O7 0.380 0.051 0.651 [4 per cell]

Calculated values
V	838.9	Å³ per cell
calculated total energy	-5.4078	eV/atom
ΔE_f	-1.140	eV per atom

=====

## HfN (GGA-PBE)

Data for a relaxed structure of HfN.

abc: 3.472 3.472 3.472
angles: 60.00 60.00 60.00
Positions (direct):
Hf (0.000, 0.000, 0.000)
N (0.250, 0.250, 0.250)

size of the total moment	0.003	μB per formula unit
space group	F-43m
calculated formation energy	-159.76	kJ/mol of atoms

***

## Hf3N2 (GGA-PBE)

Data for a relaxed structure of Hf3N2.

abc: 8.175 8.175 8.175
angles: 22.49 22.49 22.49
Positions (direct):
Hf (0.001, 0.001, 0.001)
Hf (0.223, 0.223, 0.223)
Hf (0.777, 0.777, 0.777)
N (0.612, 0.612, 0.612)
N (0.497, 0.497, 0.497)

size of the total moment	0.022	μB per formula unit
space group	R3m
calculated formation energy	-146.67	kJ/mol of atoms

***

## HfN (GGA-PBE)

Data for a relaxed structure of HfN.

abc: 3.156 3.156 5.429
angles: 90.00 90.00 120.00
Positions (direct):
Hf (0.333, 0.667, 0.250)
Hf (0.667, 0.333, 0.750)
N (0.000, 0.000, 0.500)
N (0.000, 0.000, 0.000)

space group	P6_3/mmc
calculated formation energy	-182.98	kJ/mol of atoms

***

## HfN (GGA-PBE)

Data for a relaxed structure of HfN.

abc: 2.816 2.816 2.816
angles: 90.00 90.00 90.00
Positions (direct):
Hf (0.000, 0.000, 0.000)
N (0.500, 0.500, 0.500)

size of the total moment	0.001	μB per formula unit
space group	Pm-3m
calculated formation energy	-90.42	kJ/mol of atoms

***